What is needed: count the lines below that contain the word "orbital_gap_ev" and give the number alone.
Model one:
{
  "formula": "CH6N2O2",
  "method": "ωB97M-V/def2-TZVPD",
  "e_homo_ev": [-7.81, -7.81],
  "orbital_gap_ev": [7.7, 7.7],
  "smiles": "C=NO.NO",
  "species": ["C", "N", "O", "H", "H", "H", "N", "O", "H", "H", "H"],
  "coordinates": [[0.1521, 0.2787, -1.5044], [0.6644, -0.7483, -0.8327], [1.8631, -0.3284, -0.2519], [0.8234, 1.0598, -1.8838], [-0.7070, 0.0482, -2.1438], [2.1211, -1.0982, 0.2834], [-0.9165, 0.5329, 1.1110], [-1.2113, -0.5440, 1.9971], [-0.1021, 0.9463, 1.5737], [-0.5941, 0.6886, -0.0554], [-2.0930, -0.8356, 1.7067]]
}

---

Model two:
{
  "formula": "CH6N2O2",
  "method": "ωB97M-V/def2-TZVPD",
  "e_homo_ev": -10.23,
  "orbital_gap_ev": 10.9,
  "smiles": "NC(N)=O.O",
  "species": ["N", "C", "N", "O", "H", "H", "H", "H", "O", "H", "H"],
  "coordinates": [[1.9825, 0.6116, -0.4541], [0.7077, 0.3484, 0.0022], [-0.0869, -0.4099, -0.8138], [0.2669, 0.8133, 1.0390], [2.3360, 0.0396, -1.2001], [2.6303, 0.8505, 0.2789], [-0.9595, -0.6359, -0.3522], [0.2690, -1.0035, -1.5383], [-2.6853, -0.2215, 0.7382], [-2.0567, 0.4976, 0.9145], [-2.4039, -0.8900, 1.3858]]
}

---

Model three:
{
  "formula": "CH6N2O2",
  "method": "ωB97M-V/def2-TZVPD",
  "e_homo_ev": -9.20,
  "orbital_gap_ev": 9.3,
  "smiles": "CN=O.NO",
  "species": ["C", "N", "O", "H", "H", "H", "N", "O", "H", "H", "H"],
  "coordinates": [[-1.6449, -1.0443, 0.1638], [-1.6067, 0.3883, 0.2200], [-1.1881, 0.8896, 1.2530], [-2.6109, -1.3313, -0.2540], [-0.8790, -1.3257, -0.5625], [-1.4548, -1.5401, 1.1189], [2.2331, 0.5695, -0.8520], [1.0885, 0.3428, -0.0787], [3.0637, 0.5401, -0.2658], [2.1580, 1.4598, -1.3415], [0.8412, 1.0514, 0.5988]]
}

---

Of them, the most stable is model two and the least stable is model one.

---

Model one:
{
  "formula": "C6H13N2S",
  "method": "ωB97M-V/def2-TZVPD",
  "e_homo_ev": -13.22,
  "orbital_gap_ev": 9.2,
  "total_charge": 1,
  "species": ["C", "C", "C", "N", "N", "C", "S", "C", "C", "H", "H", "H", "H", "H", "H", "H", "H", "H", "H", "H", "H", "H"],
  "coordinates": [[-1.1798, 1.0088, 1.9822], [-1.6645, -0.2442, 1.2621], [-0.5664, -1.2687, 0.9524], [0.7861, -0.6933, 0.8033], [1.1222, -0.2522, -0.4729], [2.3262, -0.1972, -0.9336], [2.5352, 0.5553, -2.4488], [0.7240, 0.5117, -2.6841], [0.1487, 0.5257, -1.2824], [-2.0249, 1.5453, 2.4109], [-0.6645, 1.7049, 1.3170], [-0.4939, 0.7609, 2.7927], [-2.2070, 0.0219, 0.3518], [-2.3961, -0.7519, 1.8927], [-0.8172, -1.8784, 0.0783], [-0.4649, -1.9609, 1.7881], [1.4981, -1.3500, 1.0966], [3.1562, -0.5885, -0.3572], [0.3969, 1.3544, -3.2862], [0.4922, -0.4209, -3.1988], [0.1351, 1.5300, -0.8483], [-0.8416, 0.0872, -1.2162]]
}

---

Model two:
{
  "formula": "C6H13N2S",
  "method": "ωB97M-V/def2-TZVPD",
  "e_homo_ev": -13.26,
  "orbital_gap_ev": 8.7,
  "total_charge": 1,
  "species": ["C", "C", "C", "N", "N", "C", "S", "C", "C", "H", "H", "H", "H", "H", "H", "H", "H", "H", "H", "H", "H", "H"],
  "coordinates": [[-1.6777, -1.7223, 0.2041], [-0.8705, -1.6338, -1.1341], [0.6572, -1.2798, -0.9445], [1.0053, -0.8406, 0.4191], [0.7390, 0.5027, 0.6649], [1.4857, 1.0795, 1.5803], [0.9788, 2.8009, 1.8538], [0.3235, 2.8078, 0.1172], [-0.3046, 1.3664, 0.0930], [-2.5778, -2.3302, 0.0011], [-1.9867, -0.7217, 0.5661], [-1.1299, -2.2170, 1.0248], [-1.3095, -0.8608, -1.7969], [-0.9612, -2.6128, -1.6363], [0.9820, -0.5856, -1.7458], [1.2164, -2.2235, -1.1137], [1.9585, -1.0707, 0.6659], [2.3111, 0.6018, 2.1257], [-0.3940, 3.6264, -0.0506], [1.2519, 2.8196, -0.4803], [-1.2955, 1.3139, 0.5787], [-0.4020, 1.1798, -0.9927]]
}

---

Of them, the most stable is model one and the least stable is model two.

---

Model one:
{
  "formula": "C21H32KN2O3P",
  "method": "ωB97M-V/def2-TZVPD",
  "e_homo_ev": -6.31,
  "orbital_gap_ev": 6.1,
6